On Monday, the Chiefs Women's Organization (CWO) visited Rose Brooks Center (RBC), which provides emergency shelter to women and children escaping life-threatening abuse, as well as, offering tools and resources to begin rebuilding their lives.
"Rose Brooks Center is a domestic violence program that saves the lives of women and children every single day of the year," Joan Dougherty, Director of Volunteers and Community Support at RBC explained. "We have 100 women and children living in our emergency center and also transitional housing and outreach programs."
The center helps protect women and children who need to escape danger and find the support needed to start a life free of violence. The shelter provides counselors, classes, help finding a home, a job, health care and legal services.
-- Attached: records of molecules --
<<<
(1)
{
  "formula": "C18H19ClN4O4S",
  "method": "ωB97M-V/def2-TZVPD",
  "symbols": ["C", "N", "C", "S", "O", "O", "C", "C", "C", "C", "C", "O", "N", "C", "C", "O", "N", "N", "C", "C", "C", "C", "C", "C", "C", "Cl", "C", "C", "H", "H", "H", "H", "H", "H", "H", "H", "H", "H", "H", "H", "H", "H", "H", "H", "H", "H", "H"],
  "positions_angstrom": [[1.471, -3.893, 3.847], [2.551, -4.430, 3.062], [3.691, -3.568, 2.884], [2.082, -5.271, 1.699], [1.017, -6.148, 2.080], [3.263, -5.818, 1.103], [1.416, -4.015, 0.597], [2.267, -3.336, -0.254], [1.757, -2.336, -1.062], [0.398, -2.032, -1.029], [-0.093, -0.960, -1.942], [0.584, 0.016, -2.229], [-1.323, -1.159, -2.459], [-1.904, -0.263, -3.436], [-2.546, 0.978, -2.784], [-3.736, 1.162, -2.754], [-1.603, 1.812, -2.267], [-1.948, 2.966, -1.676], [-1.035, 3.708, -1.189], [-1.372, 4.972, -0.571], [-2.704, 5.399, -0.529], [-3.049, 6.604, 0.043], [-2.068, 7.418, 0.591], [-0.744, 7.019, 0.565], [-0.400, 5.807, -0.010], [1.270, 5.352, -0.015], [-0.444, -2.714, -0.154], [0.070, -3.705, 0.664], [1.091, -2.946, 3.440], [0.676, -4.634, 3.854], [1.815, -3.726, 4.868], [4.157, -3.384, 3.853], [3.419, -2.606, 2.431], [4.395, -4.091, 2.242], [3.309, -3.613, -0.285], [2.396, -1.783, -1.734], [-1.862, -1.960, -2.176], [-2.675, -0.794, -3.994], [-1.113, 0.066, -4.117], [-0.614, 1.529, -2.310], [0.020, 3.420, -1.228], [-3.447, 4.749, -0.964], [-4.082, 6.916, 0.064], [-2.331, 8.365, 1.039], [0.027, 7.645, 0.989], [-1.492, -2.460, -0.086], [-0.559, -4.261, 1.342]],
  "multiplicity": 1,
  "smiles": "CN(C)S(=O)(=O)c1ccc(C(=O)NCC(=O)N/N=C/c2ccccc2Cl)cc1"
}

---

(2)
{
  "formula": "C18H19F2NO10Pb",
  "method": "ωB97M-V/def2-TZVPD",
  "symbols": ["Pb", "C", "C", "C", "O", "C", "C", "C", "O", "O", "O", "H", "H", "C", "C", "C", "O", "C", "C", "C", "O", "O", "O", "H", "H", "F", "F", "C", "O", "C", "C", "N", "C", "C", "O", "C", "H", "H", "H", "H", "H", "H", "H", "H", "H", "H", "H", "H", "H", "H", "H"],
>>>
Through Rosie's Closet, RBC also provides a place for women to shop for essential toiletry items and clothing for their family.
# Quantum chemistry results, kept here for reference
<<<
The molecule C3H3BrClN3 in a non-equilibrium geometry. Source: OMol25; level of theory: ωB97M-V/def2-TZVPD.

The value obtained for the maximum force is 0.13205 hartree/bohr. Its HOMO-LUMO gap is 8.908 eV. For the HOMO energy, the calculation gives -8.46 eV. The SMILES is Cn1nnc(Cl)c1Br.

Geometry (Å):
1 C 2.5293 2.2504 -1.6146
2 C 1.9888 1.4279 -0.1300
3 C -0.0188 -0.0028 0.0248
4 N 1.6041 1.9116 -2.4344
5 N 0.6830 1.1478 -1.9282
6 N 0.9059 0.8811 -0.6341
7 Cl 3.9068 3.1700 -1.7554
8 Br 2.6229 1.3517 1.5892
9 H 0.1141 0.0501 1.1046
10 H -1.0322 0.2728 -0.2591
11 H 0.1667 -1.0220 -0.3118

Atomic partial charges in e from the Mulliken method, atoms 1 to 8:
1 C 0.37
2 C 0.14
3 C -0.76
4 N -0.32
5 N -0.63
6 N 0.62
7 Cl -0.14
8 Br -0.09


A cluster of 4 separate species, C49H30FNO11 in total. Source: OMol25; level of theory: ωB97M-V/def2-TZVPD.

The value obtained for the maximum force is 0.01423 hartree/bohr. Its HOMO-LUMO gap is 8.429 eV. For the HOMO energy, the calculation gives -9.69 eV. The SMILES is O=C1c2ccccc2C(=O)c2ccccc21.O=C1c2ccccc2C(=O)c2ccccc21.O=C1c2ccccc2C(=O)c2ccccc21.O=NOCC1=C(CCF)C(=O)OC1=O.

Geometry (Å):
1 O -0.8899 4.2567 2.1401
2 N -1.0804 5.0830 1.3487
3 O -2.4561 5.5318 1.3354
4 C -2.9382 5.9222 2.6319
5 C -4.0130 6.9252 2.3922
6 C -5.3316 6.7526 2.3269
7 C -6.1854 5.5374 2.4235
8 C -6.7143 5.1076 1.0567
9 F -5.7777 4.2686 0.4642
10 C -5.9412 8.0991 2.0740
11 O -7.0855 8.3715 1.9236
12 O -4.9343 9.0358 2.0246
13 C -3.7240 8.3747 2.1897
14 O -2.6830 8.9402 2.1671
15 H -3.3416 5.0616 3.1713
16 H -2.1254 6.3751 3.2062
17 H -5.6028 4.6982 2.8113
18 H -7.0188 5.7178 3.1058
19 H -7.6550 4.5643 1.1432
20 H -6.8429 5.9598 0.3868
21 C 3.4160 1.8340 -6.0079
22 C 3.9212 1.1628 -4.8996
23 C 3.1897 1.1190 -3.7253
24 C 1.9517 1.7460 -3.6515
25 C 1.4534 2.4349 -4.7594
26 C 2.1878 2.4703 -5.9381
27 C 0.1463 3.1523 -4.6992
28 O -0.2905 3.7445 -5.6619
29 C -0.6016 3.1188 -3.4086
30 C -1.7995 3.8151 -3.3007
31 C -2.5150 3.7835 -2.1146
32 C -2.0401 3.0482 -1.0341
33 C -0.8442 2.3596 -1.1354
34 C -0.1187 2.3957 -2.3173
35 C 1.1739 1.6627 -2.3853
36 O 1.5813 1.0185 -1.4381
37 H 3.9856 1.8631 -6.9274
38 H 4.8846 0.6727 -4.9533
39 H 3.5694 0.6031 -2.8541
40 H 1.7859 3.0008 -6.7903
41 H -2.1584 4.3763 -4.1526
42 H -3.4457 4.3286 -2.0284
43 H -2.6083 3.0166 -0.1131
44 H -0.4655 1.7898 -0.3009
45 C 3.3902 -1.7704 -0.8700
46 C 3.1710 -2.5807 0.2399
47 C 3.8277 -3.7932 0.3659
48 C 4.7105 -4.2090 -0.6239
49 C 4.9254 -3.4041 -1.7444
50 C 4.2673 -2.1865 -1.8580
51 C 5.8423 -3.8307 -2.8389
52 O 6.0379 -3.1259 -3.8070
53 C 6.5097 -5.1576 -2.7049
54 C 7.3367 -5.6021 -3.7295
55 C 7.9745 -6.8259 -3.6209
56 C 7.7939 -7.6092 -2.4860
57 C 6.9694 -7.1723 -1.4633
58 C 6.3203 -5.9484 -1.5704
59 C 5.4203 -5.5093 -0.4632
60 O 5.2739 -6.1892 0.5297
61 H 2.8760 -0.8226 -0.9677
62 H 2.4853 -2.2621 1.0144
63 H 3.6645 -4.4279 1.2262
64 H 4.4511 -1.5793 -2.7343
65 H 7.4699 -4.9798 -4.6038
66 H 8.6155 -7.1722 -4.4212
67 H 8.2972 -8.5635 -2.4015
68 H 6.8168 -7.7706 -0.5756
>>>
# The entry goes on
"These women come to this shelter looking for help, with nothing but the clothing on their back, so we need to provide everything for them," Dougherty said. "We have a clothing bank called Rosie's Closet, it's a place for them to come and shop to provide for their family. We receive donations from the community, sort those donations, and then the ladies shop at Rosie's, at no cost to them."

The CWO helped organize and sort through clothing and supplies that had been donated for Rosie's Closet. A few days a week, women are able to redeem "Rosie Bucks," a paper currency that's received after completing chores or helping out around the shelter, for clothing in Rosie's Closet.
Three to five women are allowed to shop at a time and they only have thirty minutes to shop through the closet. This means they need to be able to easily find what they are looking for and be efficient while shopping.

"These women need to be able to find things easily since they have a limited amount of time to shop," Kristine Burkholder, CWO member explained. "We split up into three groups. The first group sorted items in the supply room, organizing toiletries, towels and other essential supplies. The second group went through the donated clothes to check for rips or stains and then brought them to our third group, who hung up and organized the clothes in Rosie's Closet."
This event hit close to home for Burkholder, who had experienced a home where domestic violence was present while growing up.
"Coming from a family where violence was in the house, it means a lot to help at this shelter," Burkholder said. "I was also in the military and regularly volunteered at women's shelters and interacted with women who had experienced violence in their home. It's a difficult situation and but a situation that came be overcome."
RBC strives to be the place that women can overcome the battle with violence in their life. It is a safe place for women to feel protected and a place for them to learn and grow.
"Rosie's Closet is a great way to get involved and support something that is near and dear to mine and Andrew's hearts," Tammy Reid, CWO member noted. "I want to help these women break that chain of violence and be independent and realize that there are better things in life and a place to help you."
As the holiday season approaches, Rosie's Closet is in need of clothing items such as coats, socks and undergarments, as well as, toys for young children. Every December, the RBC holds a Holiday Store Donation Drop-Off Point at Ward Parkway Shopping Center, where the community is able to drop off items, from clothing to toys and the women can shop for those items through Rosie's Closet.

-- begin --
# 1
The following is a DFT calculation (ωB97M-V/def2-TZVPD) of a single C4H7NO2 molecule.

Geometry as XYZ:
```
14
Properties=species:S:1:pos:R:3:forces:R:3:mulliken_charge:R:1
O -0.990 -0.651 1.386 0.08 -0.07 0.17 -0.545
C -1.098 -0.111 0.091 -0.01 0.12 -0.31 0.083
C -0.380 1.218 -0.020 -0.02 -0.06 -0.06 -0.492
O 1.459 0.810 1.073 0.04 -0.13 -0.15 -0.587
C 1.725 -0.071 0.222 -0.13 0.16 0.03 0.148
N 1.024 -0.250 -0.874 0.04 0.35 0.20 -0.543
C -0.290 -0.871 -0.954 -0.22 -0.11 -0.02 -0.448
H -0.143 -0.365 1.758 -0.09 -0.04 0.03 0.400
H -2.177 -0.030 -0.109 0.15 0.05 0.00 0.375
H -0.326 1.685 -0.999 -0.01 -0.17 0.09 0.328
H -0.482 1.928 0.802 0.21 -0.29 -0.18 0.260
H 2.647 -0.651 0.384 -0.13 0.02 -0.02 0.396
H -0.686 -0.681 -1.960 0.06 0.01 0.20 0.322
H -0.284 -1.958 -0.801 0.05 0.14 0.01 0.302
```
Positions in Å, forces in eV/Å.

E_HOMO (alpha / beta) (eV): -8.68 / -8.68
Charge: 0
Multiplicity: 1

=====

# 2
The following is a DFT calculation (ωB97M-V/def2-TZVPD) of 11 unconnected molecules or ions with the total composition C5H34N2O10.

Geometry as XYZ:
```
51
Properties=species:S:1:pos:R:3:forces:R:3:mulliken_charge:R:1
C 0.015 -0.408 -1.218 -0.43 -0.34 2.29 0.032
N 0.390 0.662 -0.171 0.33 0.63 -0.25 0.401
C -1.400 3.371 1.134 -2.26 2.46 1.54 -0.940
C -1.666 1.957 0.685 0.40 0.33 -1.84 -0.641
C -0.458 1.069 1.064 0.71 -0.10 -0.31 2.419
C -1.043 -0.165 1.793 0.39 0.93 0.52 -0.950
N -0.275 -1.259 2.270 1.82 -0.04 1.23 -0.438
H -0.958 -0.933 -0.979 1.01 0.62 -0.41 -0.405
H 0.089 -0.146 -2.281 -0.77 1.01 0.71 0.418
H 0.833 -1.139 -1.205 -0.86 0.16 0.91 -0.286
H 0.685 1.480 -0.746 -0.53 -0.40 1.17 0.390
H -0.448 3.583 1.682 -0.91 -0.22 -0.58 0.161
H -1.601 4.158 0.373 0.72 -0.64 0.01 0.318
H -2.295 3.641 1.800 1.53 -0.17 -0.17 0.286
H -1.816 2.074 -0.454 0.25 -1.04 1.61 0.147
H -2.607 1.563 1.110 0.48 0.18 -0.27 0.461
H 0.168 1.726 1.881 -1.46 -2.17 -2.90 -1.840
H -1.640 -0.652 1.084 -1.82 -0.18 -1.06 -0.196
H -1.597 0.172 2.670 -0.53 0.33 -0.43 0.731
H 0.278 -1.581 1.489 0.69 -0.28 0.36 0.155
H 0.297 -0.984 3.102 -0.28 -0.58 -1.31 0.276
H -1.426 -3.635 1.681 -0.57 0.66 -0.07 0.302
H -2.630 -2.624 1.336 0.83 -1.19 0.49 0.314
O -2.376 -3.568 1.488 -0.43 0.59 -0.41 -0.644
H 4.205 0.069 -1.993 -0.78 0.43 0.88 0.303
H 2.699 0.313 -1.923 0.88 0.00 0.94 0.182
O 3.514 0.390 -1.358 0.24 -0.92 -3.06 -0.613
H 1.260 -2.261 -2.638 1.33 2.90 -0.60 0.306
H 1.411 -1.429 -3.925 0.57 0.44 1.09 0.299
O 1.644 -1.338 -2.962 -0.91 -3.86 -1.94 -0.614
H 0.621 -3.629 -0.589 -1.62 -0.14 -0.70 0.287
H -0.013 -4.187 -1.864 0.11 -0.77 -1.07 0.248
O -0.261 -3.764 -1.060 1.88 0.82 1.80 -0.616
H 3.631 -2.044 -0.110 -0.96 -0.33 -0.10 0.307
H 2.420 -1.394 0.461 -0.28 0.40 0.11 0.236
O 2.661 -2.186 -0.024 1.04 -0.19 0.03 -0.597
H 3.723 0.960 0.184 1.45 -0.46 -2.05 0.369
H 2.304 0.933 0.639 1.96 0.73 0.70 0.305
O 3.254 1.210 0.933 -3.84 0.17 2.58 -0.682
H -4.128 -0.405 -1.503 0.28 0.25 0.81 0.280
H -2.931 -0.271 -0.656 5.55 -0.87 -0.25 0.241
-- stop --
"Through the holiday program, Rosie's Closet gives mothers the opportunity to shop for the holidays," Dougherty noted. "For many mothers, it's their first time to be able to provide presents for their children so it's very special, and it's also really neat because the children get the chance to shop for their moms too."
The Holiday Store begins on Monday, December 2nd and runs through Wednesday, December 18th at 8600 Ward Parkway in Kansas City, Missouri. For more information and to find out what to donate visit Holiday Wish List 2013.
To volunteer or donate items to Rosie's Closet visit RBC’s website here. Or if you need someone to listen, talk with you about services or a safe place to stay, call 816-861-6100. RBC is there to break the cycle of domestic violence and provide a safe shelter for women in need.